## File
┌──
[1]
Entry from Alexandria via LeMat-Bulk: an optimized crystal structure of K2ZrAg (GGA-PBE).

Properties
Volume   154.3 Å³/cell
Space-group type   C2/m (12)
Offset from the most stable computed form   0.0639 eV/atom
Energy   -2.9410 eV per atom
Magnetic moment   0.0 μB/cell
Density   2.984 g/cm3
Energy of formation from the pure elements   0.458 eV per atom

a b c (Å): 10.4588 10.4588 4.9177
angles (deg): 76.31 76.31 17.18
Element x y z (fractional)
Ag 0.2500 0.2500 0.2500
K 0.9038 0.9038 0.0957
K 0.5962 0.5962 0.4043
Zr 0.7500 0.7500 0.7500

[2]
Entry from Alexandria via LeMat-Bulk: an optimized crystal structure of PaInRh2 (GGA-PBE).

Properties
Volume   75.6 Å³/cell
Space-group type   P4/mmm (123)
Energy   -7.3118 eV per atom
Magnetic moment   0.0 μB/cell
Density   12.114 g/cm3
Energy of formation from the pure elements   -0.577 eV per atom

a b c (Å): 3.3547 4.7478 4.7478
angles (deg): 90.00 90.00 90.00
Element x y z (fractional)
Pa 0.5000 0.0000 0.0000
Rh 0.0000 0.0000 0.5000
Rh 0.0000 0.5000 0.0000
In 0.5000 0.5000 0.5000

[3]
Entry from Alexandria via LeMat-Bulk: an optimized crystal structure of K2CaTc (GGA-PBE).

Properties
Volume   148.8 Å³/cell
Space-group type   Fm-3m (225)
Offset from the most stable computed form   0.4186 eV/atom
Energy   -2.4122 eV per atom
Magnetic moment   2.7 μB/cell
Density   2.414 g/cm3
Energy of formation from the pure elements   1.228 eV per atom

a b c (Å): 5.9477 5.9477 5.9477
angles (deg): 60.00 60.00 60.00
Each line ends with the local moment (μB).
Element x y z (fractional)
K 0.2500 0.2500 0.2500  -0.01
K 0.7500 0.7500 0.7500  -0.01
Ca 0.0000 0.0000 0.0000  -0.08
Tc 0.5000 0.5000 0.5000  2.67

[4]
Entry from Alexandria via LeMat-Bulk: an optimized crystal structure of LaCe2Dy3P6 (GGA-PBE).

Properties
Volume   287.4 Å³/cell
Space-group type   C2/m (12)
Energy   -6.8215 eV per atom
Magnetic moment   0.9 μB/cell
Density   6.312 g/cm3
Energy of formation from the pure elements   -1.566 eV per atom

a b c (Å): 7.0682 7.0682 7.0487
angles (deg): 99.62 99.62 120.00
Each line ends with the local moment (μB).
Element x y z (fractional)
La 0.0000 0.0000 0.0000  0.01
Ce 0.3330 0.6670 0.0000  0.43
Ce 0.6670 0.3330 0.0000  0.43
Dy 0.1654 0.8346 0.5000  0.01
Dy 0.8346 0.1654 0.5000  0.01
Dy 0.5000 0.5000 0.5000  0.01
P 0.9145 0.5739 0.7439  -0.01
P 0.7450 0.7450 0.2566  -0.01
P 0.0855 0.4261 0.2561  -0.01
P 0.5739 0.9145 0.7439  -0.01
P 0.2550 0.2550 0.7434  -0.01
P 0.4261 0.0855 0.2561  -0.01

- Number 4 is which compound?
  LaCe2Dy3P6

- energy of number 3 (K2CaTc)?
  -2.4122 eV per atom

- energy of formation from the pure elements of number 4 (LaCe2Dy3P6)?
  -1.566 eV per atom
└──
## To do
Your job: transcribe everything further up unchanged.
## Outcome
[1]
Entry from Alexandria via LeMat-Bulk: an optimized crystal structure of K2ZrAg (GGA-PBE).

Properties
Volume   154.3 Å³/cell
Space-group type   C2/m (12)
Offset from the most stable computed form   0.0639 eV/atom
Energy   -2.9410 eV per atom
Magnetic moment   0.0 μB/cell
Density   2.984 g/cm3
Energy of formation from the pure elements   0.458 eV per atom

a b c (Å): 10.4588 10.4588 4.9177
angles (deg): 76.31 76.31 17.18
Element x y z (fractional)
Ag 0.2500 0.2500 0.2500
K 0.9038 0.9038 0.0957
K 0.5962 0.5962 0.4043
Zr 0.7500 0.7500 0.7500

[2]
Entry from Alexandria via LeMat-Bulk: an optimized crystal structure of PaInRh2 (GGA-PBE).

Properties
Volume   75.6 Å³/cell
Space-group type   P4/mmm (123)
Energy   -7.3118 eV per atom
Magnetic moment   0.0 μB/cell
Density   12.114 g/cm3
Energy of formation from the pure elements   -0.577 eV per atom

a b c (Å): 3.3547 4.7478 4.7478
angles (deg): 90.00 90.00 90.00
Element x y z (fractional)
Pa 0.5000 0.0000 0.0000
Rh 0.0000 0.0000 0.5000
Rh 0.0000 0.5000 0.0000
In 0.5000 0.5000 0.5000

[3]
Entry from Alexandria via LeMat-Bulk: an optimized crystal structure of K2CaTc (GGA-PBE).

Properties
Volume   148.8 Å³/cell
Space-group type   Fm-3m (225)
Offset from the most stable computed form   0.4186 eV/atom
Energy   -2.4122 eV per atom
Magnetic moment   2.7 μB/cell
Density   2.414 g/cm3
Energy of formation from the pure elements   1.228 eV per atom

a b c (Å): 5.9477 5.9477 5.9477
angles (deg): 60.00 60.00 60.00
Each line ends with the local moment (μB).
Element x y z (fractional)
K 0.2500 0.2500 0.2500  -0.01
K 0.7500 0.7500 0.7500  -0.01
Ca 0.0000 0.0000 0.0000  -0.08
Tc 0.5000 0.5000 0.5000  2.67

[4]
Entry from Alexandria via LeMat-Bulk: an optimized crystal structure of LaCe2Dy3P6 (GGA-PBE).

Properties
Volume   287.4 Å³/cell
Space-group type   C2/m (12)
Energy   -6.8215 eV per atom
Magnetic moment   0.9 μB/cell
Density   6.312 g/cm3
Energy of formation from the pure elements   -1.566 eV per atom

a b c (Å): 7.0682 7.0682 7.0487
angles (deg): 99.62 99.62 120.00
Each line ends with the local moment (μB).
Element x y z (fractional)
La 0.0000 0.0000 0.0000  0.01
Ce 0.3330 0.6670 0.0000  0.43
Ce 0.6670 0.3330 0.0000  0.43
Dy 0.1654 0.8346 0.5000  0.01
Dy 0.8346 0.1654 0.5000  0.01
Dy 0.5000 0.5000 0.5000  0.01
P 0.9145 0.5739 0.7439  -0.01
P 0.7450 0.7450 0.2566  -0.01
P 0.0855 0.4261 0.2561  -0.01
P 0.5739 0.9145 0.7439  -0.01
P 0.2550 0.2550 0.7434  -0.01
P 0.4261 0.0855 0.2561  -0.01

- Number 4 is which compound?
  LaCe2Dy3P6

- energy of number 3 (K2CaTc)?
  -2.4122 eV per atom

- energy of formation from the pure elements of number 4 (LaCe2Dy3P6)?
  -1.566 eV per atom